Making Our Voices Heard on Fantastic Friday
Dear Friends,
This has been a difficult week for many in our community, and across the country.
From coast to coast we are seeing the people come out and protest the unjust death of George Floyd at the hands of a Minneapolis police officer on May 25th. For too long our black brothers and sisters have felt the heavy hand of oppression, and generation after generation has suffered under the weight of systemic racism.
In this time of hardship, my heart is with the family of George Floyd and the victims of racism. On behalf of myself and my campaign, we stand with Black Lives Matter.
Watching people across the country come out and make sure that their voices are heard has brought me hope and lifted me up. These are our communities, and together we are able to make a difference by uniting towards a common goal and persevering through hardships.
I will never stop working to bring everyone together at my kitchen table to engage in conversation and problem solving that benefits everyone. Our work may never be done, but each day we move one step closer towards a society that truly holds everyone equal, and provides justice for all.
Thank you to all those who have come out to peacefully protest across the country, and right here in the 40th LD. You are heard, and you are loved. Your voice is helping drive change for the better, and for that I am eternally grateful.
Keep reading for more on this Fantastic Friday.
“Stay Safe, Stay Healthy”
Rep. Debra Lekanoff
Weekly Trivia!
Everett Washington is the site of the world’s largest building by volume – what is the building’s purpose?
Moving Into Phase 2
Earlier this week, Governor Inslee announced that the new required COVID-19 case rate for counties to move into Phase 2 of the “Safe Start” reopening program is 25 confirmed cases per 100,000 people over a 14 day period.
Just today Governor Inslee announced that 14 new counties have advanced to a new phase today, with 6 counties moving into Phase 2. As of today, San Juan, Whatcom, and Skagit counties have all moved into Phase 2 of the “Safe Start” reopening program.
This is a tremendous step forward for the state of Washington and for the 40th LD. With continued vigilance and safety measures we will be able to reopen our businesses across the state and move into Phase 3, and beyond.
Here are the additional guidelines for businesses that are able to reopen under Phase 2:
- Dine-in restaurants and taverns
- In-store retail
- Additional manufacturing operations
- Professional Services
- Personal Services (including Cosmetologists, Hairstylists, Barbers, Estheticians, Master Estheticians, Manicurists, Nail Salon Workers, Electrologists, Permanent Makeup Artists, Tattoo Artists, Cosmetology Schools, and Esthetics Schools)
- Outdoor Recreation
- Outdoor Recreation- Golf
- Construction
- Professional Photography
- Pet grooming
- Fitness
- Real Estate
Thanking Our YMCA’s
The ongoing COVID-19 pandemic has been a time of adjustment and struggle for so many of us, but it has also been a story of community supporting community and working hard to lift up those who need help.
The YMCA’s here in the 40th and across Washington State have stepped up in a major way in the past few months, and they deserve our thanks and support.
Despite being closed since March 16th, local YMCA’s continue to offer childcare to essential workers and have partnered with local school districts to help those in need. There are so many people who go out each day to help treat the sick and care for those who need it, and removing the stress of finding someone or someplace to care for their children while they work to keep us safe and healthy is a tremendous service.
In addition to this, they have also been delivering meals and providing senior welfare checks, helping those who need it most. Statewide in Washington, YMCA’s have put out $3.8 million to help our communities. The services they provide, especially childcare, are key to business recovery as we move through the Safe Start program.
Thank you to the YMCA’s, and all those who work so hard there to support our towns, our essential workers, and our elders. I am committed to providing additional support to the YMCA’s as we reopen our businesses across the state.
Visitors In Bellingham Bay
As we’ve stayed socially distant to prevent further spread of COVID-19, we’ve watched as mother earth has taken a great deep breath. Across the country and around the world we’ve watched as skies have cleared and animals have enjoyed their spaces as they haven’t in years.
(Someone pasted records of crystals at this point)
+++
# 1
This entry pairs a crystal structure of NaLiMnPCO7 with its computed powder X-ray diffraction pattern. Radiation: copper Kα. Structure: a structure optimized by DFT (GGA+U).

Largest 12 diffraction maxima, in order of rising 2θ, 2θ = 10–90°:
17.1 deg, rel. 100.0
19.3 deg, rel. 39.1
19.6 deg, rel. 29.3
21.8 deg, rel. 50.3
24.1 deg, rel. 41.0
25.9 deg, rel. 94.7
28.0 deg, rel. 92.4
33.7 deg, rel. 67.1
34.4 deg, rel. 35.4
34.6 deg, rel. 28.7
43.8 deg, rel. 32.5
53.5 deg, rel. 26.9

abc: 5.318 6.373 8.887
angles: 90.00 91.22 90.00
Space group P2_1 (No. 4)
Symmetry-distinct sites (fractional):
Na 0.223 0.000 0.262 x2
Li 0.234 0.468 0.313 x2
Mn 0.226 0.803 0.855 x2
P 0.297 0.302 0.937 x2
C 0.280 0.763 0.568 x2
O 0.072 0.792 0.647 x2
O 0.182 0.302 0.095 x2
O 0.209 0.493 0.842 x2
O 0.216 0.109 0.841 x2
O 0.264 0.728 0.428 x2
O 0.408 0.807 0.047 x2
O 0.486 0.772 0.648 x2


# 2
This entry pairs a crystal structure of LiV4P3O12 with its computed powder X-ray diffraction pattern. Radiation: copper Kα. Structure: a structure optimized by DFT (GGA+U).

Largest 12 diffraction maxima, in order of rising 2θ, 2θ = 10–90°:
11.8 deg, rel. 100.0
14.5 deg, rel. 74.9
26.6 deg, rel. 15.8
28.7 deg, rel. 83.5
29.5 deg, rel. 34.4
30.5 deg, rel. 21.3
31.9 deg, rel. 47.9
34.1 deg, rel. 40.6
37.0 deg, rel. 43.1
53.7 deg, rel. 16.9
54.8 deg, rel. 16.5
58.1 deg, rel. 21.4

abc: 6.702 14.987 10.277
angles: 90.00 90.00 90.00
+++
(So much for the records of crystals)
We’re not different right here in the 40th LD. Just last week in Bellingham Bay we had a rare visit from a beautiful group of creatures.

A family of Orca visited Bellingham, including Tl’uk, the juvenile gray or white orca that has been spotted around the Puget Sound with his family. At least five orca were spotted swimming and splashing around close to shore in Bellingham.
I’m envious of those who were lucky enough to see this in person! It’s such a tremendous sight to see majestic creatures enjoying their native habitat and saying hello. We’ve come a long way providing protection to our resident orcas, and this only serves as further evidence that we need to help them in any way that we can.
Eviction Moratorium Extended
As the COVID-19 pandemic has continued to impact Washington state by keeping businesses closed and employees at home, Governor Jay Inslee has consistently updated and extended his moratorium on evictions across the state. In doing so, Governor Inslee is keeping people and families in their homes, and he deserves our thanks.
The moratorium was set to expire this week, but the Governor issued a proclamation extending the moratorium through August 1, 2020, and adding a number of updates and modifications. Those include:
- Prohibiting retaliation against any tenant who invokes rights or protections under the proclamation;
- Permitting eviction based on property damage, except for damage that is not urgent in nature, including conditions that were known or knowable to the landlord prior to the COVID-19 crisis;
- Establishing a defense to any lawsuit for tenants if a landlord fails to offer a reasonable repayment plan;
- Establishing a minimum of a 14-day length of stay at a hotel, motel or at other non-traditional dwelling situations in order to trigger the application of this proclamation to those dwelling situations; and
- Allowing owners to evict tenants if the owner plans to occupy or sell the property, after providing at least 60 days’ notice; and
- Exempting commercial property rent increases that were executed in a rental agreement prior to the date the state of emergency was declared, on February 29.
Next to the text, the page also holds data records:
~~~
# 1
Calculated powder XRD pattern of Ba6La2Ga4O15 for Cu Kα (weighted mean of Kα1 and Kα2), from a crystal structure in the Materials Project, relaxed with GGA-PBE.

Atomic structure:
```
Ba6La2Ga4O15
1.0
6.011 -10.348 0.000
6.011 10.348 0.000
-0.076 0.000 7.204
Ba La Ga O
12 4 8 30
direct
0.000 0.000 0.000
0.000 0.000 0.500
0.043 0.521 0.338
0.171 0.346 0.670
0.173 0.825 0.670
0.334 0.669 0.986
0.346 0.171 0.170
0.521 0.043 0.838
0.653 0.828 0.670
0.669 0.334 0.486
0.825 0.173 0.170
0.828 0.653 0.170
0.479 0.958 0.341
0.480 0.520 0.346
0.520 0.480 0.846
0.958 0.479 0.841
0.176 0.820 0.172
0.181 0.358 0.166
0.331 0.661 0.535
0.358 0.181 0.666
0.644 0.818 0.175
0.661 0.331 0.035
0.818 0.644 0.675
0.820 0.176 0.672
0.066 0.677 0.021
0.070 0.391 0.021
0.091 0.897 0.274
0.099 0.197 0.270
0.173 0.583 0.683
0.197 0.099 0.770
0.257 0.759 0.347
0.260 0.497 0.348
0.325 0.933 0.051
0.331 0.397 0.037
0.391 0.070 0.521
0.397 0.331 0.537
0.414 0.823 0.663
0.417 0.581 0.674
0.497 0.260 0.848
0.505 0.747 0.349
0.581 0.417 0.174
0.583 0.173 0.183
0.604 0.667 0.040
0.607 0.931 0.053
0.667 0.604 0.540
0.677 0.066 0.521
0.747 0.505 0.849
0.759 0.257 0.847
0.808 0.898 0.272
0.823 0.414 0.163
0.897 0.091 0.774
0.898 0.808 0.772
0.931 0.607 0.553
0.933 0.325 0.551
```

Principal peaks in the range 5 to 70 degrees two-theta, by angle:
- 2θ 29.0, I 21
- 2θ 29.7, I 50
- 2θ 29.9, I 100
- 2θ 30.1, I 24
- 2θ 30.3, I 48
- 2θ 36.1, I 31
- 2θ 43.1, I 19
- 2θ 52.8, I 18


# 2
Calculated powder XRD pattern of BaMg6Ga for Cu Kα (weighted mean of Kα1 and Kα2), from a crystal structure in the Materials Project, relaxed with GGA-PBE.

Atomic structure:
```
BaMg6Ga
1.0
5.016 0.000 0.000
0.000 3.068 7.120
0.000 -3.068 7.120
Ba Mg Ga
1 6 1
direct
0.000 0.000 0.000
0.000 0.492 0.973
0.000 0.973 0.492
0.500 0.120 0.610
0.500 0.169 0.169
0.500 0.591 0.591
0.500 0.610 0.120
0.000 0.401 0.401
```

Principal peaks in the range 5 to 70 degrees two-theta, by angle:
- 2θ 12.4, I 59
- 2θ 17.7, I 49
- 2θ 23.7, I 75
- 2θ 29.7, I 98
- 2θ 30.8, I 50
- 2θ 34.7, I 48
- 2θ 36.6, I 100
- 2θ 50.7, I 48


# 3
Calculated powder XRD pattern of BaMg14Ga for Cu Kα (weighted mean of Kα1 and Kα2), from a crystal structure in the Materials Project, relaxed with GGA-PBE.

Atomic structure:
```
BaMg14Ga
1.0
6.569 0.000 0.000
-3.284 5.689 0.000
0.000 0.000 10.599
Ba Mg Ga
1 14 1
direct
0.000 0.000 0.000
0.012 0.506 0.000
0.170 0.340 0.266
0.170 0.340 0.734
0.170 0.830 0.266
0.170 0.830 0.734
0.494 0.506 0.000
0.494 0.988 0.000
0.502 0.005 0.500
0.502 0.498 0.500
0.660 0.830 0.266
0.660 0.830 0.734
0.667 0.333 0.244
0.667 0.333 0.756
0.995 0.498 0.500
0.000 0.000 0.500
```

Principal peaks in the range 5 to 70 degrees two-theta, by angle:
- 2θ 15.6, I 35
- 2θ 22.9, I 32
- 2θ 31.5, I 29
- 2θ 33.8, I 25
- 2θ 35.8, I 100
- 2θ 46.9, I 18
- 2θ 61.8, I 18
- 2θ 67.0, I 19


# 4
~~~
Here the text continues:
Read Governor Inslee’s full proclamation here.
COVID-19 Impacts on Homelessness
Yesterday I was joined by Representative Nicole Macri (43rd LD), Representative Alex Ramel (40th LD), and Michele Thomas, the Director of Policy and Advocacy at the Washington Low Income Housing Alliance to discuss the impacts COVID-19 has had on our homeless community and what policy and assistance is needed at the state level.
As we gear up for a potential special legislative session, it is critical we hear from our boots on the ground community experts to inform our legislative efforts. Helping our homeless brothers and sisters has never been more important. I am ready to do whatever I can to provide food and supplies, and fight to get a roof over everyone’s head.
Our role here is to hear how you all are doing, and to share your immediate COVID Actions tied to homelessness that may be helpful as we head into next special session and the 2021 session. Thank you to everyone who joined to talk about this issue, and thank you to Representatives Macri and Ramel, and Michele Thomas for helping lead the way in this important discussion.
Updated Health and Safety Guidelines for Farmworkers
The people who work to grow, harvest, and transport our food are an incredibly important part of the foundation of our communities. They keep our stomachs full, and it must be an absolute priority that we keep them safe in these trying times.
We’ve discussed efforts to provide sanitation and PPE to our farmworkers in the past, as well as ways to bring stronger protection and prevention methods in the time of COVID-19. Last week, Governor Inslee issued a proclamation providing additional health and safety guidelines to protect our farm workers.
This proclamation requires all agricultural employers to comply with the Agriculture COVID-19 Requirements – find them here – or they will have to stop operations. Keeping the people who bring food to our table safe during a pandemic is paramount, and I commend Governor Inslee for taking this great step towards keeping so many of our brothers and sisters safe.
Our work is not done, and I will continue to ensure that our farmworkers and agriculture industry get what they need to stay safe and continue working. Whether it be housing, sanitation, PPE, or something else entirely, I am here to help and will continue working on their behalf.
Endorsement Shout Outs!
I cannot express how deeply grateful I am to have so many fantastic people and organizations endorse my first re-election campaign. It means so much that you place your faith in me, and that you put your support behind my campaign. I work every day to make you proud and help this place we all call home.
Thank you to the Environment and Climate Caucus of the Washington State Democratic Party for endorsing my re-election campaign! We must protect our environment and ecosystems for generations to come, and I am proud of all the work we have done so far!
Thank you to the Washington Housing Alliance Action Fund for the endorsement, and for all the great work you do supporting our neighbors and families. Thank you to IAM District 751 for endorsing my re-election campaign! We are all so grateful for the work you do as machinists and aerospace workers in Washington State, and I am proud to be side by side with you in supporting our workers and their families.
Finally, a huge thank you to IAFF Local 106 firefighters union for your endorsement. Your hard work and preparation keeps so many safe, and I am grateful to have you with me on this campaign, and with all of us here in the 40th LD.
Trivia Answer!
The largest building in the world by volume is Boeing’s final assembly plant! The Everett Production Facility covers 472 million cubic feet of space – over 98 acres!